File.
# 1
Entry from the Alexandria database: a relaxed structure of LiCrPd2 (PBE-GGA).

The calculation puts the total energy at -22.11 eV/f.u. The value obtained for the energy of formation is -0.19 eV per formula unit.

The space group is R-3m (No. 166, hexagonal axes) and the conventional cell measures 2.8244, 2.8244 and 25.4228 Å, with angles of 90.00, 90.00 and 120.00 degrees. Symmetry generates all atoms from Li at (0.0000, 0.0000, 0.0000), Cr at (0.0000, 0.0000, 0.5000) and Pd at (0.0000, 0.0000, 0.2488).

---

# 2
Entry from the Alexandria database: a relaxed structure of LiCrPd2 (PBE-GGA).

The calculation puts the total energy at -22.34 eV/f.u. The value obtained for the energy of formation is -0.41 eV per formula unit.

The space group is P4/mmm (No. 123) and the conventional cell measures 2.746, 2.746 and 7.234 Å, with angles of 90.00, 90.00 and 90.00 degrees. Symmetry generates all atoms from Li at (0.000, 0.000, 0.000), Cr at (0.000, 0.000, 0.500) and Pd at (0.500, 0.500, 0.255).

---

# 3
Entry from the Alexandria database: a relaxed structure of LiCrPd2 (PBE-GGA).

The calculation puts the total energy at -22.67 eV/f.u. The value obtained for the energy of formation is -0.75 eV per formula unit.

The space group is P4/mmm (No. 123) and the conventional cell measures 4.388, 4.388 and 2.989 Å, with angles of 90.00, 90.00 and 90.00 degrees. Symmetry generates all atoms from Li at (0.000, 0.000, 0.000), Cr at (0.500, 0.500, 0.000) and Pd at (0.000, 0.500, 0.500).

---

# 4
Entry from the Alexandria database: a relaxed structure of Li2CrPd2 (PBE-GGA).

The calculation puts the total energy at -23.12 eV/f.u. The value obtained for the energy of formation is 0.71 eV per formula unit.

The space group is P4/mbm (No. 127) and the conventional cell measures 7.121, 7.121 and 2.694 Å, with angles of 90.00, 90.00 and 90.00 degrees. Symmetry generates all atoms from Li at (0.127, 0.373, 0.000), Cr at (0.000, 0.000, 0.500) and Pd at (0.173, 0.673, 0.500).

---

Ordered total magnetic moment results: 0.7706; 0.0418; 0.9681; 0.0531; unit μB per atom.

Exercise.
Repeat everything earlier on verbatim.

Written answer.
# 1
Entry from the Alexandria database: a relaxed structure of LiCrPd2 (PBE-GGA).

The calculation puts the total energy at -22.11 eV/f.u. The value obtained for the energy of formation is -0.19 eV per formula unit.

The space group is R-3m (No. 166, hexagonal axes) and the conventional cell measures 2.8244, 2.8244 and 25.4228 Å, with angles of 90.00, 90.00 and 120.00 degrees. Symmetry generates all atoms from Li at (0.0000, 0.0000, 0.0000), Cr at (0.0000, 0.0000, 0.5000) and Pd at (0.0000, 0.0000, 0.2488).

---

# 2
Entry from the Alexandria database: a relaxed structure of LiCrPd2 (PBE-GGA).

The calculation puts the total energy at -22.34 eV/f.u. The value obtained for the energy of formation is -0.41 eV per formula unit.

The space group is P4/mmm (No. 123) and the conventional cell measures 2.746, 2.746 and 7.234 Å, with angles of 90.00, 90.00 and 90.00 degrees. Symmetry generates all atoms from Li at (0.000, 0.000, 0.000), Cr at (0.000, 0.000, 0.500) and Pd at (0.500, 0.500, 0.255).

---

# 3
Entry from the Alexandria database: a relaxed structure of LiCrPd2 (PBE-GGA).

The calculation puts the total energy at -22.67 eV/f.u. The value obtained for the energy of formation is -0.75 eV per formula unit.

The space group is P4/mmm (No. 123) and the conventional cell measures 4.388, 4.388 and 2.989 Å, with angles of 90.00, 90.00 and 90.00 degrees. Symmetry generates all atoms from Li at (0.000, 0.000, 0.000), Cr at (0.500, 0.500, 0.000) and Pd at (0.000, 0.500, 0.500).

---

# 4
Entry from the Alexandria database: a relaxed structure of Li2CrPd2 (PBE-GGA).

The calculation puts the total energy at -23.12 eV/f.u. The value obtained for the energy of formation is 0.71 eV per formula unit.

The space group is P4/mbm (No. 127) and the conventional cell measures 7.121, 7.121 and 2.694 Å, with angles of 90.00, 90.00 and 90.00 degrees. Symmetry generates all atoms from Li at (0.127, 0.373, 0.000), Cr at (0.000, 0.000, 0.500) and Pd at (0.173, 0.673, 0.500).

---

Ordered total magnetic moment results: 0.7706; 0.0418; 0.9681; 0.0531; unit μB per atom.